Sunday, April 24, 2016

Loudness of Love

Loudness of Love

feeling the intensity as you say it..
my name - spoken so strongly so gently - safe in your mouth 
Protected and loved is how I feel as it flows from your sweet lips
Peaking - it vibrates 
Touching every cell in my body 
You are my atmosphere of love 
Unselfish adoration 
Lifting me from the dark to the light 
Taking your time to know me 
patching all the tears I've endured - with such patience..
My dreams you don't take -
You create..
Something tells me you're different than the rest 
You are the very best 
my heart yours till the end 
So go ahead 
Speak my name any way you like 
I feel what I hear 
The climax - loud and clear..

Saturday, April 23, 2016

Leave Her Be

Leave Her Be

She is she 
Let her be 
Love her the way she comes..
Stop the torment of your words 
Don't you see her shackled by them 
Shouldering the brunt of the vile you spew
Burying it all silently within..
Toying dangerously with her 
Leave her mind alone
It's connected to her soul which controls her heart
She's falling apart 
She isn't a game to be played
She is strong yet breakable 
Stop chipping away at her beauty 
It's rare - unique - one of a kind 
And she will love you till she's no more..
She knows no other way..
A love you will never forget 
One you will crave and seek 
But only to be found within her..
the damage you do to her doesn't stop there 
It is harming you too..
It will follow you all your days
your mind will play your evil ways 
Over and over 
Your ears will hear the silent cries of her heart and cringe 
and try as you might 
The sounds will never fade
The worst part about you 
is you just can't see all it reveals
And never will you heal 
tearing down someone else..
She's disappearing into your madness
She is she and was once free 
unchain her 
Please leave her be..

Thursday, April 21, 2016


is our connection 
so complex - psychologically physically 
my mind absorbing you until it's only you 
craving your touch until it's all I feel 
The closer we become,
The less i grasp 
looking in the mirror, 
I study that stranger looking back
The hands that touch my face   I no longer recognize..
closing my eyes as I draw back my hair I feel you..
catching my breath as you slowly draw it from me 
Your fingers entwined in my hair 
Tugging tightly as you turn my face toward you 
grazing my lips 
my mouth hungry for you
my soul ablaze
taking pieces of me 
until I no longer know where you begin and I end..
may I never be found

Tuesday, April 19, 2016

Song in the Night

Soaring to places that just can't be..
Insane  moments 
Always surprising 
catching me off guard..
With such words of love 
my blushing cheeks respond 
in awe of your tenderness bestowed upon me
Impossibly always new to my heart 
ever growing 
in this world of our mad love
You speak the language of my soul 
You've moved my mind up 
Releasing a new kind of 
happy in me
Moments with you always will be one of life's greatest mysteries 
a magical garden bursting into life 
I see it all in your eyes
my love will never dull 
flourishing in you
You've restored a new me that only you can bring
No longer walking through the garden alone 
You've given me song in the night 
My soul will always sing..


The lie is in your
as the venom drips from the same mouth that devoured me with sweet love..
Closing my eyes to it
heart slams shut
No more looking into my soul 
No more stealing my breath..
The magic is gone 
Spell broken 
I have awoken 
No longer an emotional jigsaw puzzle with its' pieces scattered about..
It has been solved
The link between my heart and mind connected..
Couldn't break me but certainly taught me the heart has power over the mind..
twisting deception into beautiful lies..


Monday, April 18, 2016

Perfectly Flawed

Next to the piece, the page also holds calculated crystals.
1.
Pr3In4Cu2: optimized geometry, PBE-GGA.

Lattice parameters (Å, degrees): 6.1549 6.1549 9.1625 111.22 111.22 45.75
With the nearest neighbours (Å) after each atom.
Positions (direct):
Pr (0.0000, 0.0000, 0.0000)  8 In 3.18-3.41, 4 Cu 3.30
Pr (0.3259, 0.3259, 0.3527)  4 Cu 3.22-3.43, 7 In 3.31-3.45
Pr (0.6741, 0.6741, 0.6473)  4 Cu 3.22-3.43, 7 In 3.31-3.45
In (0.0329, 0.0329, 0.3607)  2 Cu 2.72, 1 In 2.93
In (0.2686, 0.2686, 0.9179)  1 Cu 2.72, 2 In 2.94
In (0.7314, 0.7314, 0.0821)  1 Cu 2.72, 2 In 2.94
In (0.9671, 0.9671, 0.6393)  2 Cu 2.72, 1 In 2.93
Cu (0.4049, 0.4049, 0.7309)  3 In 2.72
Cu (0.5951, 0.5951, 0.2691)  3 In 2.72

The formation energy from the elements comes out at -0.396 eV per atom. As for the calculated total energy: -37.1 eV for the cell shown. Its magnetic moment is 0.00 μB/atom.



2.
LiCa2TlI6: optimized geometry, PBE-GGA.

Lattice parameters (Å, degrees): 8.6322 8.6322 8.6322 55.69 55.69 55.69
With the nearest neighbours (Å) after each atom.
Positions (direct):
Li (0.0000, 0.0000, 0.0000)  6 I 3.02-3.17
Ca (0.1835, 0.1835, 0.1835)  6 I 3.15-3.19
Ca (0.6730, 0.6730, 0.6730)  6 I 3.14-3.18
Tl (0.4814, 0.4814, 0.4814)  6 I 3.42-3.58
I (0.0399, 0.8168, 0.3996)  1 Li 3.02, 2 Ca 3.14-3.19
I (0.2647, 0.5899, 0.9217)  2 Ca 3.15-3.18, 1 Li 3.17
I (0.3996, 0.0399, 0.8168)  1 Li 3.02, 2 Ca 3.14-3.19
I (0.5899, 0.9217, 0.2647)  2 Ca 3.15-3.18, 1 Li 3.17
I (0.8168, 0.3996, 0.0399)  1 Li 3.02, 2 Ca 3.14-3.19
I (0.9217, 0.2647, 0.5899)  2 Ca 3.15-3.18, 1 Li 3.17

As for the calculated total energy: -30.6 eV for the cell shown. Its magnetic moment is 0.00 μB/atom. The value obtained for the formation energy from raw total energies is -1.3006 eV per atom.



3.
Tl2As2I: optimized geometry, PBE-GGA.

Lattice parameters (Å, degrees): 8.2936 8.2936 4.0374 90.00 90.00 90.00
With the nearest neighbours (Å) after each atom.
Positions (direct):
Tl (0.1489, 0.3511, 0.0000)  6 As 3.06-3.23
Tl (0.3511, 0.8511, 0.0000)  6 As 3.06-3.23
Tl (0.6489, 0.1489, 0.0000)  6 As 3.06-3.23
Tl (0.8511, 0.6489, 0.0000)  6 As 3.06-3.23
As (0.1550, 0.6550, 0.5000)  6 Tl 3.06-3.23, 2 I 3.14
As (0.3450, 0.1550, 0.5000)  6 Tl 3.06-3.23, 2 I 3.14
As (0.6550, 0.8450, 0.5000)  6 Tl 3.06-3.23, 2 I 3.14
As (0.8450, 0.3450, 0.5000)  6 Tl 3.06-3.23, 2 I 3.14
I (0.0000, 0.0000, 0.5000)  4 As 3.14
I (0.5000, 0.5000, 0.5000)  4 As 3.14

As for the calculated total energy: -28.9 eV for the cell shown. Its magnetic moment is 0.00 μB/atom. The value obtained for the formation energy from raw total energies is 0.2228 eV per atom.


DFT (PBE+U) results for a relaxed Li2NpCoO6 crystal.

## Properties
Energy, eV per formula unit: -70.28

abc: 5.679 5.679 4.182
angles: 90.00 90.00 90.00
Fractional positions:
1 Li 0.000 0.500 0.000
2 Li 0.500 0.000 0.000
3 Np 0.000 0.000 0.819
4 Co 0.500 0.500 0.741
5 O 0.000 0.000 0.325
6 O 0.247 0.247 0.849
7 O 0.247 0.753 0.849
8 O 0.500 0.500 0.334
9 O 0.753 0.247 0.849
10 O 0.753 0.753 0.849


(1)
So much for the calculated crystals.

Let me love you imperfectly so I can love you completely
Letting go of imaginings that hold me back 
So lovely to free-fall into our perfect circle of unknown.. 
ever-changing wildly crazy
Solid moments of you 
My best days are my days with you 
For some, they wander in search of it all their days
For others, they know love is simply lost 
And sadly - some just don't believe..
Though we fade in&out and back again, We are always there- can't be denied 
Like that well worn chair..
Sometimes misplaced but never forgotten 
and when you rediscover the simple pleasure of curling up and enjoying it again - you know you are where you belong..
Not a beat of my heart would exist, without the thought of you
I will chip away every brick and every stone that holds you back 
No walls no fears no
Submit to my flawed love 
This is one imperfection worth  the troubles 
Let me shatter my love over you..

Saturday, April 16, 2016

Afraid Secure Me

Steady as an earthquake..
so sure of my footing 
Other times drifting nowhere lost and alone 
hands shaking, heart racing  falling and crashing 
Nowhere to land..
afraid but secure in my fear of the unknown
accepting what I cannot control 
setting the reins free
My heart is filled with sweetness..
my security lies in His arms 
My peace in His love 
My unknown answers blanketed by the beat of His  heart 
Though uncertain of much 
my fragile heart is settled
that soothes my mind 
And I know I'll be just fine..

Thursday, April 14, 2016


Like the Summer wind 
You linger..
Wafting in&out of my thoughts 
Gently traipsing through me
Cool as an ocean breeze 
I inhale you and it sends me tumbling 
Soothing as a summer day 
Your warmth fills my mind,
caresses my body and I'm wind blown..
Footsteps are effortless 
My heart is still 
Gone is the angst 
Dreams come to life and my soul is once again carried away
Leaving my troubles behind..
Whisk me away to 
Whichever direction your wind is blowing..

Friday, April 8, 2016

Storm of Love

Rough, wild, turbulent waves
magnificent to watch beautiful like your love
Unknown and full of surprises 
Bringing to shore all its' beauty
Splashing out of control 
crashing into me until I no longer see
eclipsing the old, setting me free
Refreshing my mind 
cleansing my soul 
creating desires I never knew
No more existing below in murky dark waters 
Im walking on colorless transparent vivid as can be 
This beautiful sea..
Your words of care
Flowing in and out of me
Drenching me in a storm of love 
The sound of you rushing through me
sweetest vibrations to my soul
I am sated in your love
Drown me in it 
Let it wash me clean 

Mad Hope

Self destruction..
Pain unleashed like no other.. 
every word a strike to her raw nerves
Every fiber of her being exposed.. Rotting from the inside out..
Tweaked Love wrapped in hate sadness anger 
ripping its' way through her heart..
Decaying slowly 
Nobody sees, nobody knows the depth of misery she trudges through 
The light in her eyes turned off leaving her to live in the shadows of what was..
Dark skies all around as she grasps about looking to find herself 
He loved her till she was no more..
Too caught up, to blind to see she was living in his debris 
Her tired heart still beats for him 
as if she never knew that 
Loving him was the beginning of the end..

Sunday, April 3, 2016


Blinded by the dazzling currents passing through her
Nothing making sense 
seared by the thought of him
Inseparably together is how she feels
Uncertain where reality starts and fantasy ends 
Her heart has blurred her mind 
They've become one 
It all looks the same 
She wears him and he wears her 
Her happiness and elation so quickly deflates.. Knowing they can't possibly have what they want 
Just a beautiful dream growing in them..
unsure & feeling lost
She wants what she imagines
Afraid her imaginings are better than where her feet are planted 
Afraid she's lost perception to truth 
She reminds herself to want what she has
No bitter will take root in her
She buries the seed that has sprouted 
closing herself to it
No matter that she envisions his skin next to hers
Her eyes cast down 
Heavy with dreams she sighs,
So much wanting to make him  mine she cries..
Her Untamed heart bleeding for him.. 
She will leave his colors behind  
Knowing where she was is beautiful..